
The Plastics wrap-trap: what about cities in inter-states negotiations?

January 24, 2022 3:00 pm
  • Viewed - 7939

(These records of molecules were left in the entry by mistake)
'''
This record from the OMol25 dataset describes 5 unconnected molecules or ions with the total composition C34H75FO4P in a non-equilibrium geometry. The level of theory is wB97M-V/def2-TZVPD.

Last columns: bonded neighbours and bond lengths (Å).
CARTESIAN COORDINATES (ANGSTROEM)
1 C -2.551 1.968 2.115  C2 1.561, C30 1.529, H42 1.089, H51 1.092
2 C -3.303 0.723 1.549  C1 1.561, H43 1.092, C48 1.532, H88 1.090
3 C -1.527 -7.041 -3.515  C35 1.520, H46 1.091, H81 1.091, H113 1.091
4 H 0.214 3.523 4.370  C89 1.092
5 H 3.226 6.590 -1.232  C52 1.096
6 H -2.591 -0.746 3.037  C48 1.092
7 H -0.085 5.240 -0.397  C58 1.092
8 H 1.036 3.622 -1.840  C23 1.091
9 H 1.968 -0.075 2.106  P100 1.401
10 C 1.502 -1.858 4.626  C40 1.568, H59 1.091, H64 1.090, C83 1.521
11 H -1.304 2.653 3.683  C30 1.091
12 H 2.160 4.089 -0.544  C23 1.092
13 O 1.356 6.631 -0.333  C52 1.419, C58 1.414
14 H -1.491 -0.075 -4.638  C49 1.093
15 H -0.878 -0.572 0.971  C19 1.093
16 C 2.978 -3.993 -0.496  C21 1.516, H93 1.092, H105 1.090, H115 1.090
17 H -2.361 -0.631 -2.232  C94 1.090
18 H -0.386 7.598 4.116  C32 1.091
19 C -1.724 -1.255 1.080  H15 1.093, C48 1.541, H90 1.094, C109 1.560
20 C 1.970 8.010 -2.277  H34 1.090, H45 1.091, C52 1.519, H111 1.090
21 C 2.266 -4.103 0.837  C16 1.516, H36 1.096, H96 1.094, O106 1.415
22 H -0.166 1.381 1.291  C98 1.089
23 C 1.620 4.445 -1.425  H8 1.091, H12 1.092, C58 1.521, H102 1.091
24 H 0.759 -7.796 0.479  C60 1.090
25 H 1.438 0.052 -3.787  C108 1.093
26 H -3.340 -1.376 -0.321  C109 1.092
27 C -0.634 -1.846 -3.667  H37 1.094, C49 1.546, C56 1.524, H97 1.093
28 H 0.560 6.098 2.730  C70 1.094
29 H -0.199 -0.544 4.814  C40 1.089
30 C -1.390 1.744 3.086  C1 1.529, H11 1.091, H91 1.088, C98 1.559
31 H 0.595 5.103 5.043  C89 1.090
32 C -1.444 7.455 3.890  H18 1.091, H50 1.090, H57 1.090, C114 1.518
33 H -0.218 -1.562 3.330  C40 1.088
34 H 1.118 8.658 -2.068  C20 1.090
35 C -1.370 -5.628 -4.053  C3 1.520, H39 1.092, H76 1.096, O80 1.415
36 H 2.778 -4.813 1.497  C21 1.096
37 H -1.614 -2.285 -3.874  C27 1.094
38 H 2.236 -6.915 0.850  C60 1.091
39 H -1.289 -4.930 -3.217  C35 1.092
40 C 0.390 -0.951 3.993  C10 1.568, H29 1.089, H33 1.088, P100 1.804
41 C 0.649 1.621 -5.011  H54 1.092, H73 1.091, H92 1.090, C108 1.538
42 H -3.278 2.592 2.633  C1 1.089
43 H -3.274 0.757 0.458  C2 1.092
44 O -1.294 5.190 2.941  C70 1.414, C114 1.421
45 H 1.675 7.312 -3.062  C20 1.091
46 H -1.725 -7.760 -4.311  C3 1.091
47 H 0.214 6.006 -1.947  C58 1.095
48 C -2.835 -0.672 1.975  C2 1.532, H6 1.092, C19 1.541, H69 1.093
49 C -0.519 -0.559 -4.516  H14 1.093, C27 1.546, H61 1.091, C108 1.533
50 H -1.627 7.846 2.888  C32 1.090
51 H -2.199 2.572 1.276  C1 1.092
52 C 2.412 7.291 -1.014  H5 1.096, O13 1.419, C20 1.519, H79 1.090
53 H 1.780 -2.875 6.536  C83 1.089
54 H 1.543 2.208 -4.791  C41 1.092
55 H 0.861 -6.813 1.950  C60 1.091
56 C -0.441 -1.653 -2.168  C27 1.524, H67 1.096, C94 1.544, H107 1.090
57 H -2.017 8.043 4.607  C32 1.090
'''


On 24 January 2022, the Geneva Cities Hub, the Geneva Environment Network, and the UN-Habitat Geneva Office, with the support of Norway, convened the first Geneva Urban Debate of 2022 with the purpose of promoting the voice of local and regional governments (LRGs) in the UN Environment Assembly (UNEA) proceedings relating to plastics.

UNEA is the world’s highest-level decision-making body on the environment which enjoys universal membership of all UN member States. It periodically meets in Nairobi and adopts resolutions addressing critical environmental challenges facing the world today, including plastic pollution 1.

The resumed 5th session of UNEA (28 February – 2 March 2022) will constitute a not-to-be-missed opportunity to include LRGs in the intergovernmental debates. During this upcoming session, UNEA will discuss the elaboration of a new international treaty dealing with marine litter and plastic pollution, including the full lifecycle of plastic.

While the existing UNEA resolutions mention the need for action at all levels, including the local level, against plastic litter (see OP1 and OP2 of UNEP/EA.4/Res.6, or see OP1 of UNEP/EA.7/Res.7) and urge States to engage local authorities in the sound management of solid waste, that is not enough. More needs to be done to include concrete and action-oriented language in relation to the political and operational role of LRGs in preventing and managing plastic pollution.

« La Terre en héritage, du néolithique à nous »,  Musée des Confluences, Lyon, France

Involving local and regional authorities during the upcoming negotiations at UNEA

The consumption of plastics represents a significant challenge for LRGs worldwide. As the closest level of government to the people, Mayors and other sub-national authorities are on the frontlines of the fight against plastic pollution. They often carry the burden of high plastic consumption, as they are responsible for municipal solid waste management. “Cities all over sub-Saharan Africa are overburdened by the incapacity to manage all the waste that is generated, usually outside their territories”, said Dr. Godffrey Nato, Minister of Environment of Mombasa County in Kenya, also quoted by Geneva Solutions. This being said, LRGs are also the ones that can engage more easily with individuals and businesses at local level to induce genuine behavioral change and operationalize the solutions through policy intervention and infrastructure investments.

Various messages should therefore be conveyed during these negotiations, including the need for LRGs to meaningfully participate, as well as share challenges and good practices in the field of marine litter and plastic pollution. “States need to hear about good examples and good practices on local and regional level, this is very helpful for the decision-making”, noted Ambassador Tine Mørch Smith, Permanent Representative of Norway to the United Nations Office in Geneva.

UNEA as an intergovernmental body does not traditionally allow for direct LRGs participation. So the question raised during the Geneva Urban Debate was: how can LRGs participate in UNEA and with which status?

The hybrid event was held at the Villa Rigot


One way is to go through the LRGs’ “lobby” which is accredited as a Major group with UNEA. Two international city networks coordinate the Local Authority Major Group on plastic pollution related issues. “ICLEI and UCLG, as focal points for local and regional governments Major Group to UNEP, are following the preparations and deliberations to UNEA5.2 and Stockholm+50 very closely”, noted Mr. Jean-Baptiste Buffet from UCLG, during the preparation of the Geneva Urban Debate.

Another way (more difficult, though) would be to persuade negotiating States about the added value that LRGs participation could bring. Indeed, involving LRGs in the negotiations, for instance by including them in national delegations or by providing them with a specific observer status, could contribute to anchoring the discussions in the reality, given the practical experience of LRGs in relation to plastic pollution.

Regardless of the chosen path, the Geneva Cities Hub, based on the discussions during the event, will elaborate specific language for the draft UNEA resolutions on plastic in relation to LRGs’ participation and role in preventing and managing plastic pollution. GCH will also work to rally support from some States, so that the language may find its way in the negotiations. “We will promote specific language proposals on LRGs on our website and continue to speak in favour of the participation of LRGs during the forthcoming UNEA session”, said Ms. Kamelia Kemileva, Co-Director of the Geneva Cities Hub.

In order to better understand the role and action of LRGs in relation to plastic pollution and which specific language might better reflect that, UN-Habitat and the Geneva Cities Hub had initiated a short survey for selected LRGs, prior to the Geneva Urban Debate. LRGs were asked about which specific issues needed to be addressed, from their municipal point of view, by an international agreement on marine litter and plastic pollution. The survey also asked how high they rank the waste related SDGs (SDG 11.6, 12.4, 12.5 and 14.1) in their municipal planning.

The results of the survey were presented together with city-level waste data through SDG indicator 11.6.1 monitoring by Ms. Nao Takeuchi, a waste management expert at UN-Habitat. She emphasized the importance of data for evidence-based decision making and effective intervention, highlighting the huge demand for increased investments in municipal solid waste management especially in low to middle income cities. She also showcased the findings of survey where wider expectation from LRGs for national government to implement stronger Extended Producer Responsibility system is observed. Increased participation of private sector to burden the cost of managing plastics in all stages of lifecycle and controls on plastic production and unnecessary packaging is another issue LRGs had high interests. Almost 50% of respondents ranked SDG 11.6.1 on municipal solid waste and 12.5 on recycling high priority.

Finally, the forthcoming UNEA negotiations will also provide an opportunity to exchange knowledge and learn about services – such as the Waste Wise Cities programme by UN Habitat – provided by international organizations to help States and LRGs better manage plastic and other kinds of waste and reach the Sustainable Development Goals (SDGs) 11 (Sustainable Cities and Communities) and 12 (Responsible Production and Consumption).

The Geneva Cities Hub and its partners will continue to monitor and contribute to the UNEA drafts as they evolve during the negotiation and the implementation of the resolutions’ outcome.




1 See for instance, UNEP/EA.4/Res.6 on Marine plastic litter and microplastics, UNEP/EA.4/Res.7 on Environmentally Sound Management of Waste or UNEP/EA.4/Res.9 on Addressing Single-use Plastic Products Pollution.

2 As of now, the UNEA5.2 Cities Summit issues that have been confirmed are the following: 23rd February morning: Nature-based Solutions to fight extreme heat and limit further global warming (120 minutes); 23rd February afternoon: Urban and peri-urban gardens in support of sustainable and resilient food systems (120 minutes); 1st March: High-level segment looking into how to scale up solutions to harness the power of nature in cities (90 minutes).



About the event


At the end of 1970s, when Christo, a famous artist, tried to wrap the Pont-Neuf in Paris in polyamide, the then Mayor of Paris Jacques Chirac first rejected the project. Mainly because he thought Parisians would not appreciate the artwork. Not because he thought the use of so much plastic would elicit environmental concerns.


Decades later, the use and misuse of plastic have become a significant burden for authorities. As such, plastic pollution is being debated at all levels by States, regional and local authorities, businesses, closely followed a large group of civil society organizations. This topic has also been on the radar of several international organizations, such as the UN Human Settlements Programme (UN-Habitat), the World Trade Organization (WTO) or the UN Environment Programme (UNEP), with a system-wide coordination mechanism being put in place by the United Nations.


The United Nations Environment Assembly (UNEA), the world’s highest-level decision-making body on the environment, which enjoys universal membership by all UN member States, is taking the lead in establishing the mandate on a global plastics agreement at its next session in Spring 2022.

Here the article breaks off for records of molecules:
********
This record from the Open Molecules 2025 dataset describes a structure of composition C21H32NSiTe4Tl in a non-equilibrium geometry. The level of theory is wB97M-V/def2-TZVPD.

```
! RIJCOSX wB97M-V def2-TZVPD def2/J DEFGRID3
* xyz -2 1
Tl 0.348 -0.049 1.457
C 1.225 -4.309 1.426
C 1.447 -3.281 0.341
C 0.489 -3.102 -0.663
C -0.682 -4.051 -0.770
C 0.629 -2.060 -1.583
C -0.444 -1.786 -2.610
C 1.760 -1.239 -1.538
C 1.940 -0.155 -2.574
C 2.728 -1.435 -0.549
C 3.910 -0.498 -0.450
C 2.594 -2.486 0.364
C 3.687 -2.769 1.366
H 0.165 -4.470 1.606
H 1.663 -3.979 2.367
H 1.671 -5.277 1.169
H -1.556 -3.671 -0.230
H -0.434 -5.029 -0.361
H -0.972 -4.198 -1.809
H -0.588 -0.714 -2.740
H -1.405 -2.193 -2.306
H -0.188 -2.210 -3.588
H 1.470 0.780 -2.248
H 1.486 -0.439 -3.522
H 2.994 0.045 -2.760
H 3.638 0.510 -0.759
H 4.743 -0.827 -1.080
H 4.269 -0.427 0.575
H 3.547 -2.199 2.290
H 4.664 -2.515 0.959
H 3.709 -3.826 1.628
Te -2.180 1.387 2.940
Te -0.102 2.887 3.199
Te -0.041 2.530 8.115
Te -1.150 2.029 5.657
C -2.588 -0.872 0.377
Si -2.618 1.038 0.322
C -2.882 1.160 -1.639
C -4.455 1.599 0.595
N -0.893 1.593 0.066
C -0.534 2.885 0.007
C 0.843 3.284 0.085
C 1.232 4.611 0.031
C 0.288 5.631 0.017
C -1.063 5.286 0.000
C -1.469 3.969 -0.022
H -3.502 -1.201 -0.132
H -2.529 -1.372 1.345
H -1.749 -1.200 -0.247
H -3.717 0.555 -2.022
H -1.974 0.849 -2.165
H -3.073 2.201 -1.930
H -5.050 1.253 -0.257
H -4.486 2.694 0.579
H -4.936 1.273 1.521
H 1.575 2.484 0.117
H 2.290 4.852 0.045
H 0.594 6.669 0.019
H -1.815 6.068 0.022
H -2.524 3.720 -0.055
*
```

E   -65532.6851 eV
Molar mass   1041.36 g mol⁻¹
Energy relative to the best compared isomer or geometry (same formula, charge and spin)   1.997 eV
E_HOMO   -0.0123 Ha

Want to see where the charge sits? The natural (NBO) charges in e are: atom 1 (Tl): 0.629, atom 2 (C): -0.638, atom 3 (C): -0.015, atom 4 (C): -0.005, atom 5 (C): -0.644, atom 6 (C): -0.009, atom 7 (C): -0.650, atom 8 (C): 0.001, atom 9 (C): -0.647, atom 10 (C): -0.021, atom 11 (C): -0.640, atom 12 (C): -0.006, atom 13 (C): -0.640, atom 14 (H): 0.221, atom 15 (H): 0.223, atom 16 (H): 0.201, atom 17 (H): 0.235, atom 18 (H): 0.206, atom 19 (H): 0.211, atom 20 (H): 0.244, atom 21 (H): 0.225, atom 22 (H): 0.201, atom 23 (H): 0.251, atom 24 (H): 0.211, atom 25 (H): 0.206, atom 26 (H): 0.227, atom 27 (H): 0.203, atom 28 (H): 0.221, atom 29 (H): 0.231, atom 30 (H): 0.209, atom 31 (H): 0.209, atom 32 (Te): -0.296, atom 33 (Te): -0.081, atom 34 (Te): -0.837, atom 35 (Te): -0.095, atom 36 (C): -1.159, atom 37 (Si): 1.648, atom 38 (C): -1.131, atom 39 (C): -1.124, atom 40 (N): -1.262, atom 41 (C): 0.179, atom 42 (C): -0.261, atom 43 (C): -0.223, atom 44 (C): -0.338, atom 45 (C): -0.181, atom 46 (C): -0.318, atom 47 (H): 0.222, atom 48 (H): 0.224, atom 49 (H): 0.221, atom 50 (H): 0.178, atom 51 (H): 0.198, atom 52 (H): 0.205, atom 53 (H): 0.203, atom 54 (H): 0.221, atom 55 (H): 0.213, atom 56 (H): 0.183, atom 57 (H): 0.188, atom 58 (H): 0.187, atom 59 (H): 0.188, atom 60 (H): 0.201
********


But what is the status of local and regional governments (LRGs) within UNEA? Could it be enhanced? If so, how? And for what purpose? Do municipalities share knowledge and experience about the prevention and reduction of plastic pollution?

  The Geneva Cities Hub, with UN-Habitat, Norway, the Geneva Environment Network and partners, welcomes all stakeholders to an informal event to discuss concrete ways and means to better include LRGs in plastic pollution-related negotiations.  

We welcome all relevant stakeholders to discuss concrete ways and means to better include LRGs in plastic pollution-related negotiations.

### Here the piece breaks off for data records
____________
Density functional theory data (wB97M-V/def2-TZVPD) for a structure of composition C15H25AuCl5N3OP in a non-equilibrium geometry.

Charge: +3
LUMO (spin up / spin down) (eV): -12.52 / -12.54
HOMO-LUMO gap (spin up / spin down) (eV): 2.95 / 2.93

Element x y z (Å)
Au (0.71622, -0.21720, 0.10062)
Cl (0.50464, 7.12745, 3.20585)
C (0.70382, 5.68448, 2.35902)
C (-0.01398, 4.51550, 2.74219)
Cl (-1.08623, 4.60709, 4.07081)
C (0.15294, 3.34508, 2.02276)
Cl (-0.79892, 1.98901, 2.41013)
C (1.09504, 3.19366, 0.94677)
O (1.29245, 2.13361, 0.31374)
C (1.82731, 4.40681, 0.61777)
Cl (3.00999, 4.33760, -0.58330)
C (1.59656, 5.61609, 1.26624)
Cl (2.40268, 7.02914, 0.74166)
N (-3.74285, -1.45424, -0.50320)
C (-2.33279, -1.66333, -0.02590)
C (-2.33914, -1.58573, 1.50160)
C (-1.04334, -2.07295, 2.16413)
N (0.04380, -1.08100, 2.05517)
C (-0.61850, -3.42305, 1.59220)
C (-0.49837, -3.43374, 0.06893)
N (0.62763, -2.61065, -0.38438)
C (-1.82336, -2.99655, -0.56852)
H (-4.12444, -0.56260, -0.15492)
H (-4.35201, -2.20572, -0.14493)
H (-3.81156, -1.46611, -1.53078)
H (-1.72181, -0.84926, -0.42922)
H (-3.14997, -2.20558, 1.88838)
H (-2.52368, -0.55442, 1.80408)
H (-1.27154, -2.22249, 3.22753)
H (0.87528, -1.49715, 2.47208)
H (-0.18541, -0.26801, 2.62628)
H (-1.36599, -4.16510, 1.87462)
H (0.32313, -3.73377, 2.04591)
H (-0.32384, -4.47571, -0.23594)
H (0.75923, -2.69602, -1.38948)
H (1.47733, -2.96610, 0.04667)
H (-2.54787, -3.78390, -0.35468)
H (-1.70786, -2.92571, -1.65186)
C (3.15624, -0.60864, -2.14385)
P (1.52539, 0.18076, -2.07735)
C (0.49987, -0.55031, -3.40221)
C (1.80754, 1.86174, -2.67317)
H (3.56853, -0.51380, -3.14948)
H (3.10563, -1.66091, -1.87513)
H (3.80929, -0.10231, -1.43353)
H (1.04899, -0.49242, -4.34354)
H (-0.41509, 0.03265, -3.51105)
H (0.25146, -1.59236, -3.21486)
H (2.11479, 1.80616, -3.71939)
H (2.60112, 2.31535, -2.08518)
H (0.90164, 2.45464, -2.57932)

Atomic forces in eV per Å
-0.307 -0.689 -0.534
0.123 -1.066 -0.632
0.283 1.212 0.304
-0.759 -1.430 0.290
0.342 -0.085 -0.496
-1.616 0.281 1.857
0.009 0.428 -0.018
0.941 -2.554 -1.921
-0.372 4.114 2.044
1.412 1.886 -0.561
-0.468 -0.037 0.527
0.701 0.284 -0.926
-0.214 -0.339 0.276
-0.421 0.130 -0.069
0.706 -0.255 0.279
0.217 0.050 -0.137
-0.413 -0.485 -0.014
0.147 0.618 0.204
0.051 0.273 -0.221
0.016 -0.654 -0.128
-0.030 -1.109 -0.150
0.154 0.166 0.093
0.030 -0.257 -0.220
0.108 0.193 -0.146
-0.018 0.044 0.268
-0.222 0.018 -0.099
-0.067 -0.024 0.101
-0.210 0.088 0.110
0.043 0.069 -0.149
0.006 0.136 0.012
0.173 -0.424 0.104
0.033 -0.053 0.090
0.047 -0.096 0.045
-0.251 0.103 0.077
-0.033 -0.228 0.141
0.030 -0.051 -0.122
-0.120 -0.078 -0.040
-0.057 -0.104 -0.082
-0.095 0.152 -0.326
-0.358 -0.070 0.400
0.351 0.160 0.028
0.181 -0.217 -0.132
0.111 -0.058 0.020
-0.030 -0.063 -0.007
0.042 -0.013 -0.019
-0.029 -0.052 -0.038
-0.017 -0.032 0.051
-0.022 -0.027 0.028
-0.016 0.156 0.007
-0.052 -0.075 -0.109
-0.059 0.065 -0.061

Atomic partial charges in e from the Mulliken method, atoms 1 to 2:
1 Au 0.785
2 Cl 0.047
____________
### The data records stop here


Please register below. 



COVID pass required to attend in person





  Welcoming remarks, Amb. Mørch Smith, PR of Norway to the United Nations Office at Geneva

  • Ms. Diana Rizzolio, Coordinator, Geneva Environment Network, UNEP
  • Ms. Nao Takeuchi, Waste Management Expert, UN-Habitat
  • Ms. Melisa Wilkinson, New Technologies Operative Manager, Buenos Aires
  • Dr. Godffrey Nato, Minister of Environment of Mombasa County, Kenya
  • Mr. Tatsuya Abe, Odawara City
  • Mr. Jean-Baptiste Buffet, Senior Advocacy Officer, UCLG
  • Ms. Yumi Nishikawa, Plastic Smart Cities Lead, Asia, WWF


Moderation: Ms. Kamelia Kemileva, Co-director, Geneva Cities Hub & Mr. Graham Alabaster, Chief, UN-Habitat




Video of the event





Press review

    Overwhelmed cities look to solve their plastic problem, Geneva Solutions, 28 January 2022